Encyclopedia of the Wars of the Roses


Civil war erupted in fifteenth-century England for many interrelated reasons. While Tudor and Elizabethan commentators found the chief cause of the conflict in the 1399 deposition of Richard II and its attendant break in the legal line of succession, historians working in the twentieth century proposed numerous other causes, including BASTARD FEUDALISM, economic weakness, royal incompetence, and military defeat in FRANCE. Although all these ideas have been closely examined and many have been discredited or modified, debate continues, both on questions of how and why the WARS OF THE ROSES began and on questions of how best to relate and evaluate the various causation theories being proposed.
_Misplaced quantum chemistry results_
____________
# 1
The following is a quantum chemistry calculation of C20H45NNbO5 as an isolated structure in a non-equilibrium geometry, from the OMol25 dataset.

The total energy is -34732.3196 eV. The HOMO-LUMO gap comes out at 7.0 eV. As for the LUMO energy: 2.144 eV. Its total charge is -1.

Structure (XYZ):
```
72
C20H45NNbO5 wB97M-V/def2-TZVPD
C -2.190 0.778 4.251
C -1.415 1.645 3.050
C -0.306 2.754 3.605
C -1.722 1.449 1.577
C -1.357 2.587 0.444
C -2.261 2.513 -0.921
C -2.017 1.185 -1.849
C -3.244 1.196 -2.986
C -0.619 1.190 -2.713
C -0.279 -0.290 -3.412
Nb 1.980 -0.519 -3.784
C 1.888 -2.795 -3.833
C 2.157 -3.430 -5.356
C 0.892 -4.297 -5.934
N -0.383 -4.635 -5.151
O 0.904 -4.746 -7.218
C 2.274 -0.432 -1.519
C 3.249 0.879 -1.175
C 2.545 1.817 0.004
O 2.317 3.124 -0.231
O 2.239 1.152 1.304
H -2.930 -0.007 3.796
H -1.380 0.294 4.982
H -2.733 1.606 4.915
H 0.541 2.995 2.836
H -0.905 3.695 3.984
H 0.187 2.260 4.570
H -2.211 0.395 1.317
H -1.608 3.639 0.951
H -0.193 2.591 0.268
H -2.061 3.496 -1.546
H -3.409 2.516 -0.602
H -2.100 0.155 -1.256
H -4.160 0.536 -2.673
H -3.537 2.349 -3.087
H -2.798 0.908 -4.053
H 0.323 1.564 -2.123
H -0.803 1.926 -3.632
H -0.592 -1.188 -2.709
H -0.809 -0.378 -4.473
H 3.773 -0.519 -4.019
H 2.056 1.315 -3.853
H 1.738 -0.520 -5.577
H 2.786 -3.225 -3.175
H 0.909 -3.227 -3.331
H 2.412 -2.596 -6.152
H 3.093 -4.161 -5.352
H -1.182 -4.460 -5.808
H -0.391 -5.638 -4.862
H 2.690 -1.431 -1.057
H 1.218 -0.164 -1.046
H 4.318 0.513 -0.867
H 3.370 1.558 -2.127
H 1.259 0.907 1.298
C 1.568 -5.417 0.796
C 2.000 -4.256 -0.077
O 1.957 -3.048 0.667
H 0.553 -5.256 1.174
H 1.591 -6.356 0.236
H 2.222 -5.510 1.668
H 1.331 -4.153 -0.936
H 3.019 -4.403 -0.449
H 2.561 -3.147 1.423
C -2.228 4.060 8.754
C -1.699 3.089 7.719
O -2.470 3.180 6.530
H -3.278 3.846 8.980
H -1.648 3.999 9.678
H -2.186 5.087 8.378
H -1.763 2.061 8.090
H -0.654 3.303 7.477
H -2.399 4.093 6.204
```

***

# 2
The following is a quantum chemistry calculation of a 6-piece molecular cluster, C20H45NO8P3S2 overall in a non-equilibrium geometry, from the OMol25 dataset.

The total energy is -88878.8455 eV. The HOMO-LUMO gap comes out at 6.8 eV. As for the LUMO energy: 2.506 eV. Its total charge is -1.

Structure (XYZ):
```
79
C20H45NO8P3S2 wB97M-V/def2-TZVPD
C -0.990 0.925 -2.940
C -0.118 1.867 -2.101
S 1.655 1.844 -2.494
C 2.445 0.682 -1.363
P 2.158 -1.191 -1.698
C 3.910 -1.405 -2.455
N 0.348 -1.065 -1.063
C -0.005 -0.568 -0.022
S -0.536 0.185 1.275
P 3.076 -1.768 0.400
P 1.928 -3.414 1.187
O 0.825 -3.114 2.116
O 3.005 -4.351 1.910
O 1.466 -4.337 -0.030
H -0.387 0.402 -3.664
H -1.448 0.196 -2.294
H -1.769 1.454 -3.467
H -0.238 1.722 -1.038
H -0.421 2.879 -2.323
H 2.307 0.984 -0.331
H 3.488 0.851 -1.572
H 1.911 -2.608 -1.853
H 1.646 -0.920 -3.009
H 4.030 -2.407 -2.845
H 4.709 -1.148 -1.776
H 3.967 -0.726 -3.301
H 2.870 -0.747 1.350
H 2.534 -4.938 2.506
H 0.948 -3.816 -0.660
C 0.038 3.685 1.997
C -0.858 4.506 1.105
O -1.483 4.026 0.191
C -0.942 5.988 1.411
H 0.023 2.638 1.693
____________
_The quantum chemistry results stop here_
The oldest theory of causation is the dynastic, which states that the wars were disputes over title to the throne. The Lancastrian usurpation of 1399 led to civil strife because it vested the Crown in a branch of the royal family whose right to it was inferior to that of other members of the family. As originally enunciated by Tudor writers, and especially by William Shakespeare, this theory also had a supernatural component—the deposition of an anointed king, being a violation of divine law, led inexorably to the divine punishment of civil war. Although this view has today fallen out of fashion, some modern historians have partially revived it by arguing that HENRY VI and MARGARET OF ANJOU were much concerned for the future of the house of LANCASTER in the 1450s, and that many of their attitudes and actions were shaped by fear of the dynastic ambitions of Richard PLANTAGENET, duke of York.
In the late nineteenth century, Charles Plummer and William Denton advocated the theory that bastard feudalism was the chief cause of the Wars of the Roses. They argued that a corrupt offshoot of the feudal social system (which Plummer termed bastard feudalism) allowed a small group of wealthy nobles to raise large bodies of armed RETAINERS with which they conducted private quarrels and defied the authority of the Crown.Developing in the fourteenth century during the reign of Edward III (r. 1327–1377), bastard feudalism disrupted English political society in the fifteenth century. Civil war resulted from a collapse of central authority brought on by “overmighty subjects” who used the Crown and the royal government for their own ends. After 1940, K. B. McFarlane and his students largely demolished the notion that a corrupted form of feudalism caused the Wars of the Roses. They argued that bastard feudal292 WARS OF THE ROSES, CAUSES OF ism was the basis of political society from the thirteenth through the sixteenth centuries, and that only the weakness of the Crown under the inept Henry VI allowed the system to be corrupted in the fifteenth century. As McFarlane wrote, “only an undermighty ruler had anything to fear from overmighty subjects” (McFarlane, p. 238). In the last thirty years, the debate has shifted from the belief that the wars arose mainly from the weaknesses of Henry VI to discussion of a general shift in the balance of power between the Crown and its most powerful subjects. This idea salvages some of the Plummer/Denton theory by holding Edward III responsible for altering the king’s relationship with his nobles. Instead of standing clearly above and apart from leading noblemen, as Edward I had done, kings after Edward III stood more as first among equals, a consequence that made effective kingship more dependent on the personality of individual monarchs. When a truly ineffective monarch came to power in 1437, royal government ceased to function as it should, and powerful nobles had more scope for making trouble, with bastard feudalism serving as only one of the means by which they did so.
In the 1930s, M. M. Postan suggested that the “political gangsterism” (Postan, p. 48) of the fifteenth century arose from the financial distress of a nobility experiencing declining incomes. In the 1950s, Charles Ross and T. B. Pugh expanded this idea and tied it into the theory of bastard feudalism by arguing that financially strapped nobles became increasingly dependent on Crown patronage and therefore fought each other not because they had the wherewithal to raise private armies but because they needed royal largess to pay the retinues they already had. This theory of noble insolvency as a cause of civil war also embraced the increasing financial woes of the Crown under Henry VI. In the 1390s, Richard II enjoyed an annual revenue of £120,000, while in the 1450s Henry VI’s annual income had shrunk to about £40,000. Besides experiencing the same decline in rents that affected the PEERAGE, the Crown also suffered from a European-wide depression that reduced customs revenues and from the king’s free-spending tendencies, a point that also reinforces the idea that Henry VI’s incompetence was a prime cause of the wars.Although the general financial position of the nobility in the fifteenth century has been much debated, the bankruptcy of the Crown is not in doubt; what is in question is how much of a role royal insolvency played in the coming of the civil wars.
Certainly the Crown’s poverty was a factor in the English loss of Normandy in 1450, and the loss of that important province, which was both a psychological blow to England’s pride and a financial blow to the incomes of numerous noblemen, helped initiate the quarrel between York and Edmund BEAUFORT, duke of Somerset. This quarrel over standing at COURT and access to patronage is generally accepted as an important immediate cause of the wars. Another immediate cause was the entry into politics of Margaret of Anjou, who worked on behalf of her son, Prince EDWARD OF LANCASTER, to thwart the political ambitions of York. What is less accepted is the effect, if any, of the ending of the HUNDRED YEARS WAR on the coming of the Wars of the Roses. The notion that the internal disorder of the 1450s was the result of returning hordes of unruly soldiers (and magnates), who had earlier directed their aggression toward the French, has been largely abandoned, but the idea that dissatisfaction with the Lancastrian regime’s handling of the French war made possible Yorkist opposition to the government is still much debated.
Recently, scholars have pointed out that the theories discussed above apply only to the civil wars before 1471. For the revival of the conflict in the 1480s, a general consensus finds the main cause in the actions of one man— RICHARD III. Some historians suggest that EDWARD IV, by basing his regime too narrowly on a small number of supporters, such as William HASTINGS, Lord Hastings, and the WOODVILLE FAMILY, was responsible for creating conditions that allowed Richard to easily topple his nephew, EDWARD V. AlWARS OF THE ROSES, CAUSES OF 293 though this may be true, the fact remains that only Richard’s usurpation, undertaken in 1483 for any number of reasons, allowed Henry Tudor, earl of Richmond (seeHenry VII, King of England), to become a serious contender for the throne and transformed the defunct struggle between the houses of Lancaster and YORK into a struggle between the latter and the house of TUDOR.
See alsoRichard II, Deposition of; Shakespeare and the Wars of the Roses
Further Reading:Dockray, Keith,“The Origins of the Wars of the Roses,” in A. J. Pollard, ed.,The Wars of the Roses(New York: St. Martin’s Press, 1995), pp. 65–88; McFarlane, K. B.,“The Wars of the Roses,” inEngland in the Fifteenth Century: Collected Essays(London: Hambledon Press, 1981); Pollard, A. J.,The Wars of the Roses(New York: St. Martin’s Press, 1988); Postan, M. M.,“The Fifteenth Century,” inEssays in Medieval Agriculture and Economy(Cambridge: Cambridge University Press, 1973); Pugh,T. B., and Charles Ross,“The English Baronage and the Income Tax of 1436,”Bulletin of the Institute of Historical Research20 (1952): 1–22.